What is needed: filter the block further below: keep the lines with the word "smiles".
- - -
{
  "formula": "C5H12N",
  "method": "ωB97M-V/def2-TZVPD",
  "multiplicity": 1,
  "charge": 1,
  "smiles": "C/C=C/CC[NH3+]",
  "de_lowest_ev": 1.5338,
  "fmax_ev_per_a": 2.06,
  "species": ["C", "C", "C", "C", "C", "N", "H", "H", "H", "H", "H", "H", "H", "H", "H", "H", "H", "H"],
  "coordinates": [[-0.96, 2.06, -1.66], [-0.05, 1.49, -0.62], [0.74, 0.44, -0.87], [1.21, -0.46, 0.29], [0.19, -0.66, 1.39], [-0.36, -2.09, 1.23], [-0.68, 3.04, -2.05], [-1.99, 2.18, -1.34], [-1.00, 1.40, -2.53], [0.00, 2.08, 0.29], [0.80, 0.00, -1.86], [1.54, -1.43, -0.09], [2.13, 0.01, 0.66], [-0.71, -0.06, 1.32], [0.58, -0.67, 2.40], [-0.89, -2.16, 0.35], [-1.00, -2.43, 1.95], [0.44, -2.73, 1.15]],
  "nbo_charge": [-0.65, -0.16, -0.21, -0.49, -0.19, -0.68, 0.24, 0.23, 0.22, 0.21, 0.21, 0.22, 0.26, 0.24, 0.23, 0.44, 0.45, 0.44]
}

{
  "formula": "C5H12N",
  "method": "ωB97M-V/def2-TZVPD",
  "multiplicity": 1,
  "charge": 1,
  "smiles": "C=C(C)CC[NH3+]",
  "de_lowest_ev": 2.2783,
  "fmax_ev_per_a": 5.36,
  "species": ["C", "C", "C", "C", "C", "N", "H", "H", "H", "H", "H", "H", "H", "H", "H", "H", "H", "H"],
  "coordinates": [[0.89, 0.07, 1.90], [0.18, -0.39, 0.84], [-1.34, -0.59, 0.96], [0.84, -0.85, -0.52], [0.04, 0.03, -1.64], [-0.31, 1.43, -1.20], [2.06, -0.27, 2.00], [0.49, 0.44, 2.77], [-1.73, -0.11, 1.89], [-1.74, -0.20, 0.09], [-1.64, -1.63, 1.06], [1.99, -0.76, -0.48], [0.57, -1.93, -0.77], [0.66, 0.23, -2.59], [-0.88, -0.50, -1.79], [-0.99, 1.38, -0.45], [0.46, 1.81, -0.66], [-0.74, 1.94, -2.00]],
  "nbo_charge": [-0.36, -0.05, -0.66, -0.45, -0.24, -0.69, 0.22, 0.21, 0.25, 0.16, 0.26, 0.26, 0.25, 0.25, 0.23, 0.44, 0.46, 0.46]
}

{
  "formula": "C5H12N",
  "method": "ωB97M-V/def2-TZVPD",
  "multiplicity": 1,
  "charge": 1,
  "smiles": "C=C([NH3+])CCC",
  "de_lowest_ev": 1.5390,
  "fmax_ev_per_a": 1.81,
  "species": ["C", "C", "N", "C", "C", "C", "H", "H", "H", "H", "H", "H", "H", "H", "H", "H", "H", "H"],
  "coordinates": [[0.40, -1.46, 1.61], [-0.20, -0.67, 0.75], [-1.29, 0.27, 1.21], [-0.26, -0.83, -0.72], [-0.07, 0.54, -1.43], [1.21, 1.21, -0.91], [0.32, -1.41, 2.69], [1.18, -2.14, 1.29], [-1.01, 1.22, 1.48], [-1.85, -0.24, 1.89], [-1.93, 0.42, 0.43], [-1.27, -1.21, -0.98], [0.58, -1.42, -1.08], [0.09, 0.33, -2.49], [-0.83, 1.33, -1.40], [1.57, 2.06, -1.51], [2.12, 0.57, -1.00], [1.24, 1.41, 0.17]],
  "nbo_charge": [-0.34, 0.14, -0.71, -0.47, -0.43, -0.64, 0.23, 0.25, 0.46, 0.46, 0.44, 0.23, 0.27, 0.25, 0.20, 0.25, 0.22, 0.19]
}

{
  "formula": "C5H12N",
  "method": "ωB97M-V/def2-TZVPD",
  "multiplicity": 1,
  "charge": 1,
  "smiles": "C=CC[C@@H](C)[NH3+]",
  "de_lowest_ev": 2.2812,
  "fmax_ev_per_a": 4.88,
  "species": ["C", "C", "C", "C", "C", "N", "H", "H", "H", "H", "H", "H", "H", "H", "H", "H", "H", "H"],
  "coordinates": [[0.83, 1.89, 1.36], [0.10, 1.81, 0.21], [-0.16, 0.74, -0.77], [0.16, -0.65, -0.19], [-0.66, -1.00, 1.02], [0.05, -1.63, -1.38], [0.78, 2.75, 1.96], [1.40, 1.02, 1.66], [-0.49, 2.77, 0.04], [-1.09, 0.76, -1.23], [0.47, 0.67, -1.65], [1.25, -0.71, 0.07], [-0.82, -2.06, 1.11], [-0.23, -0.40, 1.73], [-1.73, -0.55, 0.87], [0.16, -2.50, -0.91], [0.86, -1.43, -2.13], [-0.90, -1.49, -1.75]],
  "nbo_charge": [-0.35, -0.21, -0.45, -0.01, -0.64, -0.70, 0.23, 0.18, 0.23, 0.22, 0.21, 0.22, 0.23, 0.26, 0.23, 0.44, 0.47, 0.44]
}

{
  "formula": "C5H12N2",
  "method": "ωB97M-V/def2-TZVPD",
  "multiplicity": 2,
  "charge": -1,
  "de_lowest_ev": 2.0923,
  "fmax_ev_per_a": 4.34,
  "species": ["C", "C", "C", "C", "C", "N", "N", "H", "H", "H", "H", "H", "H", "H", "H", "H", "H", "H", "H"],
  "coordinates": [[0.19, 1.50, -1.24], [-0.85, 0.49, -0.77], [-0.29, -0.82, -0.01], [0.59, -0.48, 1.18], [1.65, -1.26, 1.62], [0.19, 0.58, 1.96], [-1.50, -0.06, -1.96], [-0.30, 2.25, -1.88], [0.74, 1.88, -0.38], [0.72, 0.95, -1.97], [-1.60, 1.06, -0.15], [-1.15, -1.62, 0.16], [0.20, -1.53, -0.81], [2.24, -0.96, 2.50], [1.88, -2.23, 1.23], [0.65, 0.34, 3.00], [-0.39, 1.37, 1.70], [-0.86, -0.58, -2.63], [-2.11, -0.88, -1.54]],
- - -
  "smiles": "C/C=C/CC[NH3+]",
  "smiles": "C=C(C)CC[NH3+]",
  "smiles": "C=C([NH3+])CCC",
  "smiles": "C=CC[C@@H](C)[NH3+]",